'''
Record 1
A plane-wave DFT calculation with GGA-PBE was carried out for a relaxed Al2TcIr crystal.

Cell lengths 2.795, 2.795, 8.104 Å; angles 90.00, 90.00, 113.35 degrees
Positions (direct):
Ir (0.500, 0.500, 0.250)
Tc (0.500, 0.500, 0.750)
Al (0.000, 0.000, 0.001)
Al (0.000, 0.000, 0.499)

Output
Distance to the lowest polymorph of the same formula in eV/atom: 0.293
Energy relative to the elements in eV/atom: -0.349

=====

Record 2
A plane-wave DFT calculation with GGA-PBE was carried out for a relaxed Al2TcIr crystal.

Cell lengths 6.785, 6.785, 5.547 Å; angles 52.29, 52.29, 90.00 degrees
Positions (direct):
Ir (0.000, 0.000, 0.000)
Ir (0.750, 0.250, 0.500)
Tc (0.500, 0.500, 0.000)
Tc (0.250, 0.750, 0.500)
Al (0.640, 0.125, 0.250)
Al (0.110, 0.625, 0.250)
Al (0.375, 0.360, 0.750)
Al (0.875, 0.890, 0.750)

Output
Distance to the lowest polymorph of the same formula in eV/atom: 0.764
Energy relative to the elements in eV/atom: 0.122

=====

Record 3
A plane-wave DFT calculation with GGA-PBE was carried out for a relaxed Al2TcIr crystal.

Cell lengths 4.354, 4.354, 4.354 Å; angles 60.00, 60.00, 60.00 degrees
Positions (direct):
Ir (0.500, 0.500, 0.500)
Tc (0.750, 0.750, 0.750)
Al (0.000, 0.000, 0.000)
Al (0.250, 0.250, 0.250)

Output
Distance to the lowest polymorph of the same formula in eV/atom: 0.454
Energy relative to the elements in eV/atom: -0.188

=====

Record 4
A plane-wave DFT calculation with GGA-PBE was carried out for a relaxed Al2TcIr crystal.

Cell lengths 4.363, 4.363, 5.103 Å; angles 80.81, 80.81, 37.28 degrees
Positions (direct):
Ir (0.750, 0.750, 0.750)
Tc (0.250, 0.250, 0.250)
Al (0.003, 0.003, 0.994)
Al (0.497, 0.497, 0.506)

Output
Distance to the lowest polymorph of the same formula in eV/atom: 0.211
Energy relative to the elements in eV/atom: -0.431

=====

Record 5
A plane-wave DFT calculation with GGA-PBE was carried out for a relaxed Al2TcIr crystal.

Cell lengths 2.772, 2.772, 7.861 Å; angles 90.00, 90.00, 90.00 degrees
Positions (direct):
Ir (0.000, 0.000, 0.507)
Tc (0.500, 0.500, 0.738)
Al (0.000, 0.000, 0.980)
Al (0.500, 0.500, 0.274)

Output
Distance to the lowest polymorph of the same formula in eV/atom: 0.339
Energy relative to the elements in eV/atom: -0.303

=====

Record 6
A plane-wave DFT calculation with GGA-PBE was carried out for a relaxed Al2TcIr crystal.

Cell lengths 5.029, 5.029, 5.029 Å; angles 137.46, 137.46, 61.74 degrees
Positions (direct):
Ir (0.500, 0.500, 0.000)
Tc (0.750, 0.250, 0.500)
Al (0.000, 0.000, 0.000)
Al (0.250, 0.750, 0.500)

Output
Distance to the lowest polymorph of the same formula in eV/atom: 0.247
Energy relative to the elements in eV/atom: -0.395

=====

Record 7
A plane-wave DFT calculation with GGA-PBE was carried out for a relaxed Al2TcIr crystal.

Cell lengths 8.745, 8.745, 8.745 Å; angles 18.63, 18.63, 18.63 degrees
Positions (direct):
Ir (0.500, 0.500, 0.500)
Tc (0.751, 0.751, 0.751)
Al (0.002, 0.002, 0.002)
Al (0.246, 0.246, 0.246)

Output
Distance to the lowest polymorph of the same formula in eV/atom: 0.365
Energy relative to the elements in eV/atom: -0.277

=====

Record 8
A plane-wave DFT calculation with GGA-PBE was carried out for a relaxed AlTc3Ir crystal.

Cell lengths 4.690, 4.690, 4.690 Å; angles 90.00, 90.00, 90.00 degrees
Positions (direct):
Ir (0.000, 0.000, 0.000)
Tc (0.000, 0.500, 0.000)
Tc (0.000, 0.000, 0.500)
Tc (0.500, 0.000, 0.000)
Al (0.500, 0.500, 0.500)

Output
Distance to the lowest polymorph of the same formula in eV/atom: 0.234
Energy relative to the elements in eV/atom: 1.646

=====

Record 9
A plane-wave DFT calculation with GGA-PBE was carried out for a relaxed Al6TcIr crystal.

Cell lengths 4.458, 4.458, 7.205 Å; angles 77.39, 77.39, 74.80 degrees
Positions (direct):
Al (0.064, 0.579, 0.307)
Al (0.579, 0.064, 0.307)
Al (0.421, 0.936, 0.693)
Al (0.936, 0.421, 0.693)
Al (0.363, 0.363, 0.923)
Al (0.637, 0.637, 0.077)
Tc (0.000, 0.000, 0.000)
Ir (0.500, 0.500, 0.500)

Output
Energy relative to the elements in eV/atom: -0.239
'''
The reader should quote all of the rows further up without altering anything.
Record 1
A plane-wave DFT calculation with GGA-PBE was carried out for a relaxed Al2TcIr crystal.

Cell lengths 2.795, 2.795, 8.104 Å; angles 90.00, 90.00, 113.35 degrees
Positions (direct):
Ir (0.500, 0.500, 0.250)
Tc (0.500, 0.500, 0.750)
Al (0.000, 0.000, 0.001)
Al (0.000, 0.000, 0.499)

Output
Distance to the lowest polymorph of the same formula in eV/atom: 0.293
Energy relative to the elements in eV/atom: -0.349

=====

Record 2
A plane-wave DFT calculation with GGA-PBE was carried out for a relaxed Al2TcIr crystal.

Cell lengths 6.785, 6.785, 5.547 Å; angles 52.29, 52.29, 90.00 degrees
Positions (direct):
Ir (0.000, 0.000, 0.000)
Ir (0.750, 0.250, 0.500)
Tc (0.500, 0.500, 0.000)
Tc (0.250, 0.750, 0.500)
Al (0.640, 0.125, 0.250)
Al (0.110, 0.625, 0.250)
Al (0.375, 0.360, 0.750)
Al (0.875, 0.890, 0.750)

Output
Distance to the lowest polymorph of the same formula in eV/atom: 0.764
Energy relative to the elements in eV/atom: 0.122

=====

Record 3
A plane-wave DFT calculation with GGA-PBE was carried out for a relaxed Al2TcIr crystal.

Cell lengths 4.354, 4.354, 4.354 Å; angles 60.00, 60.00, 60.00 degrees
Positions (direct):
Ir (0.500, 0.500, 0.500)
Tc (0.750, 0.750, 0.750)
Al (0.000, 0.000, 0.000)
Al (0.250, 0.250, 0.250)

Output
Distance to the lowest polymorph of the same formula in eV/atom: 0.454
Energy relative to the elements in eV/atom: -0.188

=====

Record 4
A plane-wave DFT calculation with GGA-PBE was carried out for a relaxed Al2TcIr crystal.

Cell lengths 4.363, 4.363, 5.103 Å; angles 80.81, 80.81, 37.28 degrees
Positions (direct):
Ir (0.750, 0.750, 0.750)
Tc (0.250, 0.250, 0.250)
Al (0.003, 0.003, 0.994)
Al (0.497, 0.497, 0.506)

Output
Distance to the lowest polymorph of the same formula in eV/atom: 0.211
Energy relative to the elements in eV/atom: -0.431

=====

Record 5
A plane-wave DFT calculation with GGA-PBE was carried out for a relaxed Al2TcIr crystal.

Cell lengths 2.772, 2.772, 7.861 Å; angles 90.00, 90.00, 90.00 degrees
Positions (direct):
Ir (0.000, 0.000, 0.507)
Tc (0.500, 0.500, 0.738)
Al (0.000, 0.000, 0.980)
Al (0.500, 0.500, 0.274)

Output
Distance to the lowest polymorph of the same formula in eV/atom: 0.339
Energy relative to the elements in eV/atom: -0.303

=====

Record 6
A plane-wave DFT calculation with GGA-PBE was carried out for a relaxed Al2TcIr crystal.

Cell lengths 5.029, 5.029, 5.029 Å; angles 137.46, 137.46, 61.74 degrees
Positions (direct):
Ir (0.500, 0.500, 0.000)
Tc (0.750, 0.250, 0.500)
Al (0.000, 0.000, 0.000)
Al (0.250, 0.750, 0.500)

Output
Distance to the lowest polymorph of the same formula in eV/atom: 0.247
Energy relative to the elements in eV/atom: -0.395

=====

Record 7
A plane-wave DFT calculation with GGA-PBE was carried out for a relaxed Al2TcIr crystal.

Cell lengths 8.745, 8.745, 8.745 Å; angles 18.63, 18.63, 18.63 degrees
Positions (direct):
Ir (0.500, 0.500, 0.500)
Tc (0.751, 0.751, 0.751)
Al (0.002, 0.002, 0.002)
Al (0.246, 0.246, 0.246)

Output
Distance to the lowest polymorph of the same formula in eV/atom: 0.365
Energy relative to the elements in eV/atom: -0.277

=====

Record 8
A plane-wave DFT calculation with GGA-PBE was carried out for a relaxed AlTc3Ir crystal.

Cell lengths 4.690, 4.690, 4.690 Å; angles 90.00, 90.00, 90.00 degrees
Positions (direct):
Ir (0.000, 0.000, 0.000)
Tc (0.000, 0.500, 0.000)
Tc (0.000, 0.000, 0.500)
Tc (0.500, 0.000, 0.000)
Al (0.500, 0.500, 0.500)

Output
Distance to the lowest polymorph of the same formula in eV/atom: 0.234
Energy relative to the elements in eV/atom: 1.646

=====

Record 9
A plane-wave DFT calculation with GGA-PBE was carried out for a relaxed Al6TcIr crystal.

Cell lengths 4.458, 4.458, 7.205 Å; angles 77.39, 77.39, 74.80 degrees
Positions (direct):
Al (0.064, 0.579, 0.307)
Al (0.579, 0.064, 0.307)
Al (0.421, 0.936, 0.693)
Al (0.936, 0.421, 0.693)
Al (0.363, 0.363, 0.923)
Al (0.637, 0.637, 0.077)
Tc (0.000, 0.000, 0.000)
Ir (0.500, 0.500, 0.500)

Output
Energy relative to the elements in eV/atom: -0.239